Ranchi the capital city of Jharkhand State in India is expanding both vertical and horizontal resulting in lots of problem.
Dr. Nitish Priyadarshi

-- Between two parts of the page: calculated crystals --
'''
Record 1
# Ce2Dy3HoSe6

A relaxed structure of Ce2Dy3HoSe6 (GGA-PBE, Alexandria).

Computed properties:
uncorrected formation energy = -1.78 eV per atom
volume = 295.3 Å³/f.u.
space-group type = C2/m, No. 12

The structure in POSCAR format:
```
Ce2Dy3HoSe6
1.0
3.549 -6.159 0.000
3.549 6.159 0.000
-2.378 0.000 6.754
Ce Dy Ho Se
2 3 1 6
direct
0.166 0.834 0.000
0.834 0.166 0.000
0.000 0.000 0.500
0.332 0.668 0.500
0.668 0.332 0.500
0.500 0.500 0.000
0.088 0.415 0.744
0.260 0.260 0.258
0.415 0.088 0.744
0.585 0.912 0.256
0.740 0.740 0.742
0.912 0.585 0.256
```

Record 2
# Ce3DyHo2Se6

A relaxed structure of Ce3DyHo2Se6 (GGA-PBE, Alexandria).

Computed properties:
uncorrected formation energy = -1.79 eV per atom
volume = 299.5 Å³/f.u.
space-group type = C2/m, No. 12

The structure in POSCAR format:
```
Ce3DyHo2Se6
1.0
3.549 -6.153 0.000
3.549 6.153 0.000
-2.370 0.000 6.857
Ce Dy Ho Se
3 1 2 6
direct
0.000 0.000 0.000
0.334 0.666 0.000
0.666 0.334 0.000
0.500 0.500 0.500
0.167 0.833 0.500
0.833 0.167 0.500
0.087 0.421 0.263
0.244 0.244 0.736
0.421 0.087 0.263
0.579 0.913 0.737
0.756 0.756 0.264
0.913 0.579 0.737
```

Record 3
# CeDy4Ho3Se8

A relaxed structure of CeDy4Ho3Se8 (GGA-PBE, Alexandria).

Computed properties:
uncorrected formation energy = -1.75 eV per atom
volume = 384.9 Å³/f.u.
space-group type = R-3m, No. 166

The structure in POSCAR format:
```
CeDy4Ho3Se8
1.0
4.084 2.358 6.662
-4.084 2.358 6.662
0.000 -4.715 6.662
Ce Dy Ho Se
1 4 3 8
direct
0.000 0.000 0.000
0.000 0.000 0.500
0.000 0.500 0.000
0.500 0.000 0.000
0.500 0.500 0.500
0.000 0.500 0.500
0.500 0.000 0.500
0.500 0.500 0.000
0.251 0.251 0.251
0.253 0.253 0.746
0.253 0.746 0.253
0.254 0.747 0.747
0.746 0.253 0.253
0.747 0.254 0.747
0.747 0.747 0.254
0.749 0.749 0.749
```

Record 4
# Ce3Dy2HoSe6

A relaxed structure of Ce3Dy2HoSe6 (GGA-PBE, Alexandria).

Computed properties:
uncorrected formation energy = -1.79 eV per atom
volume = 300.1 Å³/f.u.
space-group type = C2/m, No. 12

The structure in POSCAR format:
```
Ce3Dy2HoSe6
1.0
3.554 -6.162 0.000
3.554 6.162 0.000
-2.373 0.000 6.854
Ce Dy Ho Se
3 2 1 6
direct
0.000 0.000 0.000
0.333 0.667 0.000
0.667 0.333 0.000
0.167 0.833 0.500
0.833 0.167 0.500
0.500 0.500 0.500
0.089 0.421 0.263
0.247 0.247 0.738
0.421 0.089 0.263
0.579 0.911 0.737
0.753 0.753 0.262
0.911 0.579 0.737
```

Record 5
# Ce2DyHoSe6

A relaxed structure of Ce2DyHoSe6 (GGA-PBE, Alexandria).

Computed properties:
uncorrected formation energy = -1.80 eV per atom
volume = 305.4 Å³/f.u.
space-group type = R3, No. 146

The structure in POSCAR format:
```
Ce2DyHoSe6
1.0
3.683 2.126 6.499
-3.683 2.126 6.499
0.000 -4.253 6.499
Ce Dy Ho Se
2 1 1 6
direct
0.000 0.000 0.000
0.500 0.500 0.500
0.201 0.201 0.201
0.701 0.701 0.701
0.083 0.416 0.816
0.316 0.915 0.584
0.416 0.816 0.083
0.584 0.316 0.915
0.816 0.083 0.416
0.915 0.584 0.316
```

Record 6
# Ce2Sm6DyHo3

A relaxed structure of Ce2Sm6DyHo3 (GGA-PBE, Alexandria).

Computed properties:
volume = 388.1 Å³/f.u.
'''
-- End of the calculated crystals --
As more and more people leave villages and farms to live in cities, urban growth results. Urbanization occurs naturally from individual and corporate efforts to reduce time and expense in commuting and transportation while improving opportunities for jobs, education, housing, and transportation. Living in cities permits individuals and families to take advantage of the opportunities of proximity, diversity, and marketplace competition.
People move into cities to seek economic opportunities. In rural areas, often on small family farms, it is difficult to improve one's standard of living beyond basic sustenance. Farm living is dependent on unpredictable environmental conditions, and in times of drought, flood or pestilence, survival becomes extremely problematic.
Cities, in contrast, are known to be places where money, services and wealth are centralized. Cities are where fortunes are made and where social mobility is possible. Businesses, which generate jobs and capital, are usually located in urban areas. Whether the source is trade or tourism, it is also through the cities that foreign money flows into a country. It is easy to see why someone living on a farm might wish to take their chance moving to the city and trying to make enough money to send back home to their struggling family.
There are better basic services as well as other specialist services that aren't found in rural areas. There are more job opportunities and a greater variety of jobs. Health is another major factor. People, especially the elderly are often forced to move to cities where there are doctors and hospitals that can cater for their health needs. Other factors include a greater variety of entertainment (restaurants, movie theaters, theme parks, etc) and a better quality of education, namely universities. Due to their high populations, urban areas can also have much more diverse social communities allowing others to find people like them when they might not be able to in rural areas.
Clearly, urban settlements differ greatly in size, as mentioned by their populations. Is there a Theoretical maximum and an optimum size? Criffith Taylor and others believe that the ultimate size may be fixed by the increasing difficulty of obtaining enough water to supply unduly large numbers concentrated in a small area, while Lewis Mumford and similar authors think that the continued growth of very large cities not only produces more administrative problems than benefits. This also paralyses rather than furthers social relationships and phenomenally raises central land values, so much that land ceases to be adaptable to new needs.
Views on the optimum size of a city have altered with the march of history. Plato believed that most desirable size was 5,000, a figure which would allow everybody to hear the voice of an orator and so participate in active political life and develop varied social relations. Late nineteenth – century garden city enthusiasts in Britain thought that towns of 30,000 to 50,000 would be large enough supply all necessary human needs, whether medical, educational, social, economic or cultural.
Towns could not come into being until the surrounding countryside was capable of providing a food surplus in the past. Due to modern transport and large surpluses in many parts of the world, towns generally have little difficulty in obtaining food, even from far distant lands. Developing countries may lack the capital to give all their town folk an adequate diet, and even in developed countries there are sporadic temporary shortages, owing to failures in economic planning, poor harvests, dock strikes and traffic hold-ups occasioned by excessive rain, snow, floods, droughts etc.
The problem of water supply is more permanent and applies specifically to cities. It is becoming increasingly serious even in advanced countries which certainly have no problem in paying for the water they consume. The root of the problem lies in the fact that 98% of the earth’s surface water is contained in the salt oceans and in ice-caps. The remainder is unevenly distributed and often polluted. Over half is needed for agriculture, about a third for industry, 10 percent for domestic use.
Many cities, especially in developing countries, lack a clean supply of fresh water. In India, e.g., less than a third of the urban population has access to pure water, and the main reason why water borne diseases are rampant. Even when people are provided with purified water for drinking, they usually wash themselves and their clothing in contaminated supplies.
The demands made on water by urban industries, power stations and homes are growing at a more rapid rate than the growth of population. Many wells do not yield enough water, river pollution, like Ganga, Damodar etc. in India, is a continuing evil, and the remaining water resources- mostly in thinly populated highland areas of abundant rain- are far from many consuming centres.
After being separated from Bihar, Jharkhand state of India is now fast growing in terms of business. Ranchi the capital city is expanding both vertical and horizontal resulting in lots of problem like irregular electric supply, water supply, ground water depletion, air pollution, noise pollution, municipal waste disposal, failure of drainage systems, traffic jams etc. Surface waters are being contaminated. Seasonal diseases have also multiplied. More and more people are concentrating in the city flats which has raised the land values many fold. Ranchi earlier known as the summer capital has now become the heat furnace during summer. It is all due to the unplanned expansion of the city.
The urban heat island has become a growing concern and is increasing over the years. The urban heat island is formed when industrial and urban areas are developed and heat becomes more abundant. In rural areas, a large part of the incoming solar energy is used to evaporate water from vegetation and soil. In cities, where less vegetation and exposed soil exists, the majority of the sun’s energy is absorbed by urban structures and asphalt. Hence, during warm daylight hours, less evaporative cooling in cities allows surface temperatures to rise higher than in rural areas. Additional city heat is given off by vehicles and factories, as well as by industrial and domestic heating and cooling units. This effect causes the city to become 2 to 10 degree F (1 to 6 degree C) warmer than surrounding landscapes. Impacts also include reducing soil moisture and intensification of carbon dioxide emissions.
Owing to population growth, poor levels of hygiene, and increasing urban poverty, the urban environment in many developing countries is rapidly deteriorating. Densely packed housing in shanty towns or slums and inadequate drinking-water supplies, garbage collection services, and surface-water drainage systems combine to create favourable habitats for the proliferation of vectors and reservoirs of communicable diseases. As a consequence, vector-borne diseases such as malaria, lymphatic filariasis and dengue are becoming major public health problems associated with rapid urbanization in many tropical countries
Another change that has occurred after the oil crisis of 1973 is the vertical growth of large cities. People who were living in suburbs found it costly to travel to the city. The open spaces within the city got filled up by the construction of high rise buildings. Large bungalows and old residences were demolished and high rise buildings have come up both as commercial complexes and as residential flats. Many rich families are migrating from the suburbs to flats or apartments near the city centre. The vertical expansion of cities poses further problems in water supply, sewage disposal and traffic congestion on the roads. Traffic causes urban noise, air pollution, stress and strain in an individual.
One solution for both lateral expansion and vertical growth of a city is to develop satellite towns at a distance of 40 to 50 km from the city. The satellite town will not be a mere residential town to accommodate commuters. Such a satellite town will be both a place of work and a place of living.
_The text is interrupted by crystal structures_
____________
(1)
Entry from Alexandria: crystalline Ba6Li2Ni at its relaxed geometry (PBE-GGA).

```
Ba6Li2Ni
1.0
7.935 0.000 0.000
0.000 11.026 0.000
-6.710 0.000 10.095
Ba Li Ni
12 4 2
Cartesian
-2.010 1.505 4.716
-5.365 4.008 9.764
-4.004 8.239 9.443
-0.649 8.299 4.395
1.222 0.418 2.059
-2.132 5.095 7.107
3.357 5.930 2.989
0.002 10.608 8.036
1.874 2.726 5.700
5.229 2.786 0.652
6.590 7.017 0.332
3.235 9.521 5.379
-3.769 0.906 8.268
-0.414 4.606 3.221
1.639 6.419 6.875
4.994 10.119 1.827
0.612 0.000 5.048
3.967 5.513 0.000
```


(2)
Entry from Alexandria: crystalline BaLi2Ni at its relaxed geometry (PBE-GGA).

```
BaLi2Ni
1.0
2.232 1.289 5.718
-2.232 1.289 5.718
0.000 -2.577 5.718
Ba Li Ni
1 2 1
Cartesian
0.000 0.000 0.000
0.000 0.000 3.302
0.000 0.000 13.852
0.000 0.000 8.577
```

Computed properties:
The value obtained for the distance to the lowest polymorph of the same formula is 67.8 meV per atom.


(3)
Entry from Alexandria: crystalline BaLiNi at its relaxed geometry (PBE-GGA).

```
BaLiNi
1.0
0.000 3.395 3.395
3.395 0.000 3.395
3.395 3.395 0.000
Ba Li Ni
1 1 1
Cartesian
0.000 0.000 0.000
5.092 5.092 5.092
3.395 3.395 3.395
```

Computed properties:
The value obtained for the distance to the lowest polymorph of the same formula is 380.2 meV per atom.


(4)
Entry from Alexandria: crystalline BaLi2Ni at its relaxed geometry (PBE-GGA).

```
BaLi2Ni
1.0
3.897 -2.250 0.000
3.897 2.250 0.000
-2.612 0.000 5.642
Ba Li Ni
1 2 1
Cartesian
0.000 0.000 0.000
2.594 0.000 3.103
5.194 0.000 2.488
-0.003 0.000 3.382
```

Computed properties:
The value obtained for the distance to the lowest polymorph of the same formula is 0.0 meV per atom.


Which energy belongs to each record? In order, -2.3101, -2.7219, -2.7931, -2.7897 eV per atom.
Which DOS(E_F) belongs to each record? In order, 0.903, 0.458, 0.574, 0.467 states/eV per atom.
Which energy of formation from the pure elements belongs to each record? In order, 0.039, 0.161, 0.413, 0.093 eV/atom.
____________
_End of the crystal structures_
People move into cities to seek economic opportunities. In rural areas, often on small family farms, it is difficult to improve one's standard of living beyond basic sustenance. Farm living is dependent on unpredictable environmental conditions, and in times of drought, flood or pestilence, survival becomes extremely problematic.
Cities, in contrast, are known to be places where money, services and wealth are centralized. Cities are where fortunes are made and where social mobility is possible. Businesses, which generate jobs and capital, are usually located in urban areas. Whether the source is trade or tourism, it is also through the cities that foreign money flows into a country. It is easy to see why someone living on a farm might wish to take their chance moving to the city and trying to make enough money to send back home to their struggling family.
There are better basic services as well as other specialist services that aren't found in rural areas. There are more job opportunities and a greater variety of jobs. Health is another major factor. People, especially the elderly are often forced to move to cities where there are doctors and hospitals that can cater for their health needs. Other factors include a greater variety of entertainment (restaurants, movie theaters, theme parks, etc) and a better quality of education, namely universities. Due to their high populations, urban areas can also have much more diverse social communities allowing others to find people like them when they might not be able to in rural areas.
/*
[1]
DFT (PBE-GGA) results for crystalline Pr2SmEr5Sc at its relaxed geometry.

Uncorrected energy   -4.67 eV per atom
Energy of formation from the pure elements   0.157 eV per atom
Calculated density   7.6 g/cm3

Lattice parameters (Å, degrees): 10.242 10.242 10.454 90.00 90.00 148.40
Fractional positions:
Pr (0.113, 0.887, 0.500)
Pr (0.115, 0.885, 0.919)
Pr (0.885, 0.115, 0.419)
Pr (0.887, 0.113, 0.000)
Sm (0.413, 0.587, 0.644)
Sm (0.587, 0.413, 0.144)
Er (0.017, 0.983, 0.205)
Er (0.277, 0.723, 0.507)
Er (0.298, 0.702, 0.889)
Er (0.376, 0.624, 0.204)
Er (0.482, 0.518, 0.924)
Er (0.518, 0.482, 0.424)
Er (0.624, 0.376, 0.704)
Er (0.702, 0.298, 0.389)
Er (0.723, 0.277, 0.007)
Er (0.983, 0.017, 0.705)
Sc (0.197, 0.803, 0.200)
Sc (0.803, 0.197, 0.700)

[2]
DFT (PBE-GGA) results for crystalline Ca3HfZn at its relaxed geometry.

Uncorrected energy   -2.84 eV per atom
Energy of formation from the pure elements   0.611 eV per atom
Energy relative to the lowest polymorph listed for this composition   0.000 eV/atom
Calculated density   3.5 g/cm3

Lattice parameters (Å, degrees): 5.575 5.575 5.575 90.00 90.00 90.00
Fractional positions:
Ca (0.000, 0.000, 0.500)
Ca (0.000, 0.500, 0.000)
Ca (0.500, 0.000, 0.000)
Hf (0.500, 0.500, 0.500)
Zn (0.000, 0.000, 0.000)

[3]
DFT (PBE-GGA) results for crystalline AcLa2Gd at its relaxed geometry.

Uncorrected energy   -6.98 eV per atom
Energy of formation from the pure elements   0.027 eV per atom
Energy relative to the lowest polymorph listed for this composition   0.011 eV/atom
Calculated density   7.2 g/cm3

Lattice parameters (Å, degrees): 3.798 3.798 10.518 90.00 90.00 90.00
Fractional positions:
Ac (0.000, 0.000, 0.000)
La (0.500, 0.500, 0.263)
La (0.500, 0.500, 0.737)
Gd (0.000, 0.000, 0.500)

[4]
DFT (PBE-GGA) results for crystalline CaLaAu2 at its relaxed geometry.

Uncorrected energy   -4.20 eV per atom
Energy of formation from the pure elements   -0.827 eV per atom
Calculated density   9.3 g/cm3

Lattice parameters (Å, degrees): 5.250 5.250 5.250 60.00 60.00 60.00
Fractional positions:
Ca (0.000, 0.000, 0.000)
La (0.500, 0.500, 0.500)
Au (0.250, 0.250, 0.250)
Au (0.750, 0.750, 0.750)

[5]
DFT (PBE-GGA) results for crystalline KY2Tl2 at its relaxed geometry.

Uncorrected energy   -3.86 eV per atom
Energy of formation from the pure elements   -0.107 eV per atom
Energy relative to the lowest polymorph listed for this composition   0.061 eV/atom
Calculated density   6.6 g/cm3

Lattice parameters (Å, degrees): 9.216 9.216 3.713 90.00 90.00 90.00
Fractional positions:
K (0.000, 0.000, 0.000)
K (0.500, 0.500, 0.000)
Y (0.164, 0.336, 0.500)
Y (0.336, 0.836, 0.500)
Y (0.664, 0.164, 0.500)
Y (0.836, 0.664, 0.500)
Tl (0.131, 0.631, 0.000)
Tl (0.369, 0.131, 0.000)
Tl (0.631, 0.869, 0.000)
Tl (0.869, 0.369, 0.000)

[6]
DFT (PBE-GGA) results for crystalline RbMgCd at its relaxed geometry.

Uncorrected energy   -1.08 eV per atom
Energy of formation from the pure elements   0.075 eV per atom
*/
Clearly, urban settlements differ greatly in size, as mentioned by their populations. Is there a Theoretical maximum and an optimum size? Criffith Taylor and others believe that the ultimate size may be fixed by the increasing difficulty of obtaining enough water to supply unduly large numbers concentrated in a small area, while Lewis Mumford and similar authors think that the continued growth of very large cities not only produces more administrative problems than benefits. This also paralyses rather than furthers social relationships and phenomenally raises central land values, so much that land ceases to be adaptable to new needs.
Views on the optimum size of a city have altered with the march of history. Plato believed that most desirable size was 5,000, a figure which would allow everybody to hear the voice of an orator and so participate in active political life and develop varied social relations. Late nineteenth – century garden city enthusiasts in Britain thought that towns of 30,000 to 50,000 would be large enough supply all necessary human needs, whether medical, educational, social, economic or cultural.
Towns could not come into being until the surrounding countryside was capable of providing a food surplus in the past. Due to modern transport and large surpluses in many parts of the world, towns generally have little difficulty in obtaining food, even from far distant lands. Developing countries may lack the capital to give all their town folk an adequate diet, and even in developed countries there are sporadic temporary shortages, owing to failures in economic planning, poor harvests, dock strikes and traffic hold-ups occasioned by excessive rain, snow, floods, droughts etc.
The problem of water supply is more permanent and applies specifically to cities. It is becoming increasingly serious even in advanced countries which certainly have no problem in paying for the water they consume. The root of the problem lies in the fact that 98% of the earth’s surface water is contained in the salt oceans and in ice-caps. The remainder is unevenly distributed and often polluted. Over half is needed for agriculture, about a third for industry, 10 percent for domestic use.
Many cities, especially in developing countries, lack a clean supply of fresh water. In India, e.g., less than a third of the urban population has access to pure water, and the main reason why water borne diseases are rampant. Even when people are provided with purified water for drinking, they usually wash themselves and their clothing in contaminated supplies.
The demands made on water by urban industries, power stations and homes are growing at a more rapid rate than the growth of population. Many wells do not yield enough water, river pollution, like Ganga, Damodar etc. in India, is a continuing evil, and the remaining water resources- mostly in thinly populated highland areas of abundant rain- are far from many consuming centres.
After being separated from Bihar, Jharkhand state of India is now fast growing in terms of business. Ranchi the capital city is expanding both vertical and horizontal resulting in lots of problem like irregular electric supply, water supply, ground water depletion, air pollution, noise pollution, municipal waste disposal, failure of drainage systems, traffic jams etc. Surface waters are being contaminated. Seasonal diseases have also multiplied. More and more people are concentrating in the city flats which has raised the land values many fold. Ranchi earlier known as the summer capital has now become the heat furnace during summer. It is all due to the unplanned expansion of the city.
The urban heat island has become a growing concern and is increasing over the years. The urban heat island is formed when industrial and urban areas are developed and heat becomes more abundant. In rural areas, a large part of the incoming solar energy is used to evaporate water from vegetation and soil. In cities, where less vegetation and exposed soil exists, the majority of the sun’s energy is absorbed by urban structures and asphalt. Hence, during warm daylight hours, less evaporative cooling in cities allows surface temperatures to rise higher than in rural areas. Additional city heat is given off by vehicles and factories, as well as by industrial and domestic heating and cooling units. This effect causes the city to become 2 to 10 degree F (1 to 6 degree C) warmer than surrounding landscapes. Impacts also include reducing soil moisture and intensification of carbon dioxide emissions.
Owing to population growth, poor levels of hygiene, and increasing urban poverty, the urban environment in many developing countries is rapidly deteriorating. Densely packed housing in shanty towns or slums and inadequate drinking-water supplies, garbage collection services, and surface-water drainage systems combine to create favourable habitats for the proliferation of vectors and reservoirs of communicable diseases. As a consequence, vector-borne diseases such as malaria, lymphatic filariasis and dengue are becoming major public health problems associated with rapid urbanization in many tropical countries
Another change that has occurred after the oil crisis of 1973 is the vertical growth of large cities. People who were living in suburbs found it costly to travel to the city. The open spaces within the city got filled up by the construction of high rise buildings. Large bungalows and old residences were demolished and high rise buildings have come up both as commercial complexes and as residential flats. Many rich families are migrating from the suburbs to flats or apartments near the city centre. The vertical expansion of cities poses further problems in water supply, sewage disposal and traffic congestion on the roads. Traffic causes urban noise, air pollution, stress and strain in an individual.
One solution for both lateral expansion and vertical growth of a city is to develop satellite towns at a distance of 40 to 50 km from the city. The satellite town will not be a mere residential town to accommodate commuters. Such a satellite town will be both a place of work and a place of living.